-- Given --
-- begin --
The following is a quantum chemistry calculation of C66H61FN7O8PSr as an isolated structure, from OMol25.

Positions of all 145 atoms, in Å:
Sr1 0.44 -0.81 -0.30
O1 3.11 -3.58 1.66
C1 2.65 -2.91 0.75
O2 1.48 -2.39 0.71
C2 3.58 -2.65 -0.46
C3 4.70 -3.44 -0.50
C4 5.69 -3.27 -1.47
C5 5.59 -2.27 -2.41
C6 4.48 -1.45 -2.38
C7 3.39 -1.60 -1.45
O3 2.35 -0.87 -1.52
N1 4.48 -0.39 -3.41
O4 5.24 -0.51 -4.36
O5 3.76 0.58 -3.25
N2 6.88 -4.12 -1.47
O6 6.97 -4.97 -0.61
O7 7.73 -3.93 -2.33
H1 4.81 -4.19 0.27
H2 6.36 -2.11 -3.13
C8 0.98 1.62 5.14
C9 1.46 3.04 4.96
C10 1.23 3.99 5.95
C11 1.73 5.28 5.87
C12 2.49 5.65 4.77
C13 2.71 4.73 3.75
C14 2.19 3.44 3.83
N3 2.47 2.54 2.78
C15 1.52 1.89 1.97
N4 0.24 2.31 2.20
C16 -1.03 2.00 1.58
C17 -1.15 1.03 0.59
C18 -2.46 0.91 0.09
C19 -3.54 1.67 0.51
C20 -3.35 2.62 1.52
C21 -2.09 2.79 2.08
C22 -1.90 3.80 3.20
N5 1.91 1.03 1.08
C23 3.30 0.73 1.04
C24 3.82 -0.27 1.86
C25 5.15 -0.65 1.76
C26 5.98 -0.02 0.85
C27 5.47 0.99 0.04
C28 4.14 1.39 0.13
C29 3.57 2.48 -0.74
H3 0.89 1.39 6.20
H4 1.67 0.91 4.68
H5 0.01 1.44 4.67
H6 0.66 3.69 6.83
H7 1.54 5.99 6.67
H8 2.90 6.65 4.69
H9 3.28 5.01 2.88
H10 3.37 2.62 2.34
H11 0.20 3.06 2.86
H12 -2.65 0.17 -0.70
H13 -4.53 1.55 0.07
H14 -4.18 3.22 1.88
H15 -2.85 4.30 3.42
H16 -1.17 4.58 2.95
H17 -1.56 3.33 4.13
H18 3.15 -0.80 2.54
H19 5.52 -1.46 2.38
H20 7.01 -0.33 0.74
H21 6.11 1.48 -0.69
H22 4.35 2.90 -1.38
H23 3.13 3.28 -0.14
H24 2.78 2.09 -1.38
O8 -3.21 -2.01 -3.16
N6 -3.05 -0.71 -3.56
C30 -3.92 0.11 -3.14
C31 -3.80 1.55 -3.47
C32 -4.97 2.27 -3.65
C33 -4.94 3.60 -4.04
C34 -3.71 4.21 -4.23
C35 -2.54 3.50 -4.01
C36 -2.56 2.16 -3.61
P1 -1.05 1.25 -3.09
C37 -0.40 0.56 -4.65
C38 0.85 -0.08 -4.59
C39 1.40 -0.67 -5.72
C40 0.70 -0.64 -6.92
C41 -0.54 -0.03 -6.99
C42 -1.09 0.57 -5.86
C43 0.10 2.66 -2.83
C44 -0.08 3.36 -1.63
C45 0.68 4.49 -1.35
C46 1.64 4.92 -2.25
C47 1.85 4.21 -3.43
C48 1.09 3.09 -3.71
H25 -3.78 -2.02 -2.38
H26 -4.79 -0.23 -2.55
H27 -5.92 1.76 -3.51
H28 -5.86 4.15 -4.19
H29 -3.65 5.25 -4.54
H30 -1.58 4.00 -4.12
H31 1.41 -0.10 -3.66
H32 2.37 -1.15 -5.65
H33 1.13 -1.11 -7.80
H34 -1.09 -0.01 -7.93
H35 -2.06 1.04 -5.92
H36 -0.81 3.01 -0.91
H37 0.53 5.02 -0.41
H38 2.24 5.80 -2.03
H39 2.63 4.52 -4.12
H40 1.27 2.54 -4.63
C49 0.14 -1.30 3.49
C50 -0.50 -2.64 3.12
C51 -0.03 -3.75 4.06
C52 -2.01 -2.53 3.05
C53 -2.76 -2.34 4.21
C54 -4.14 -2.27 4.17
C55 -4.79 -2.41 2.95
C56 -4.07 -2.60 1.77
C57 -4.82 -2.78 0.47
C58 -5.65 -4.05 0.47
C59 -5.69 -1.56 0.14
C60 -2.66 -2.62 1.80
N7 -1.90 -2.66 0.63
C61 -1.60 -3.86 0.12
C62 -1.94 -5.15 0.64
C63 -1.56 -6.33 0.01
C64 -0.82 -6.33 -1.17
C65 -0.47 -5.09 -1.72
C66 -0.87 -3.95 -1.09
F1 -0.53 -2.73 -1.65
H41 1.23 -1.37 3.43
H42 -0.14 -1.01 4.52
H43 -0.19 -0.50 2.82
H44 -0.14 -2.88 2.12
H45 -0.21 -3.48 5.11
H46 1.04 -3.92 3.92
H47 -0.56 -4.68 3.85
H48 -2.24 -2.24 5.16
H49 -4.71 -2.12 5.08
H50 -5.88 -2.39 2.92
H51 -4.05 -2.87 -0.30
H52 -6.41 -4.03 1.26
H53 -5.02 -4.93 0.63
H54 -6.17 -4.18 -0.49
H55 -6.52 -1.47 0.85
H56 -6.13 -1.65 -0.86
H57 -5.11 -0.64 0.20
H58 -2.50 -5.18 1.57
H59 -1.84 -7.28 0.46
H60 -0.52 -7.25 -1.65
H61 0.10 -5.01 -2.63

relative energy (zero: lowest compared OMol25 entry of this formula, charge and spin): 19.3 kcal/mol
HOMO energy: -1.82 eV
total charge: -2

Mulliken population analysis, charges in e, atoms 1 to 4: atom 1 (Sr): 2.71, atom 2 (O): -0.79, atom 3 (C): -0.72, atom 4 (O): 0.41

---

The following is a quantum chemistry calculation of a 9-piece molecular cluster, C66H67F11NO5S overall, from OMol25.

Positions of all 151 atoms, in Å:
O1 4.92 -1.18 4.39
S1 4.60 -2.45 3.81
O2 4.02 -3.42 4.69
O3 5.93 -3.04 3.19
C1 3.45 -2.18 2.48
C2 2.77 -0.82 2.66
C3 3.44 0.31 1.86
C4 2.54 0.99 0.83
C5 1.34 1.72 1.42
C6 1.48 2.34 2.82
O4 2.57 3.16 3.07
C7 0.13 3.07 2.92
N1 -0.80 1.97 2.42
C8 -2.16 2.41 2.05
O5 -3.03 1.61 2.82
C9 -4.36 1.76 2.52
F1 -4.79 2.95 2.88
F2 -5.01 0.84 3.19
F3 -4.58 1.60 1.23
C10 0.01 0.98 1.56
C11 -0.56 0.60 0.21
C12 -1.80 -0.31 0.25
C13 -1.58 -1.56 1.05
C14 -1.11 -2.71 0.42
C15 -0.91 -3.90 1.12
-- stop --
-- Brief --
The reader should count the lines above that contain the word "C60" and give the number alone.
-- Result --
1